Source.
........
Entry from the Materials Project: a relaxed Na3TeP2O14 crystal (GGA-PBE).

CIF file:
```
data_Na3TeP2O14
_space_group_name_H-M_alt 'P 63 2 2'
_space_group_IT_number 182
_space_group_name_Hall 'P 6c 2c'
_cell_length_a 8.1664
_cell_length_b 8.1664
_cell_length_c 10.8590
_cell_angle_alpha 90.00
_cell_angle_beta 90.00
_cell_angle_gamma 120.00
loop_
_atom_site_label
_atom_site_type_symbol
_atom_site_fract_x
_atom_site_fract_y
_atom_site_fract_z
Na1 Na 0.0514 0.5257 0.2500
Te1 Te 0.0000 0.0000 0.2500
P1 P 0.3333 0.6667 0.5209
O1 O 0.0182 0.2223 0.1691
O2 O 0.1476 0.5048 0.5785
O3 O 0.3333 0.6667 0.1186
```

Summary:
The calculation puts the calculated volume at 15.68 Å³ per atom. The electronic total energy comes out at -212.2 eV per cell. For the energy of formation, the calculation gives -1.43 eV/atom.

***

Entry from the Materials Project: a relaxed NaTh2P3O12 crystal (GGA-PBE).

CIF file:
```
data_NaTh2P3O12
_space_group_name_H-M_alt 'C 1 c 1'
_space_group_IT_number 9
_cell_length_a 17.577
_cell_length_b 6.852
_cell_length_c 8.254
_cell_angle_alpha 90.00
_cell_angle_beta 101.48
_cell_angle_gamma 90.00
loop_
_space_group_symop_operation_xyz
'x,y,z'
'x,-y,z+1/2'
'x+1/2,y+1/2,z'
'x+1/2,-y+1/2,z+1/2'
loop_
_atom_site_label
_atom_site_type_symbol
_atom_site_fract_x
_atom_site_fract_y
_atom_site_fract_z
Na1 Na 0.000 0.099 0.000
Th1 Th 0.166 0.412 0.900
Th2 Th 0.359 0.097 0.828
P1 P 0.010 0.400 0.622
P2 P 0.200 0.085 0.552
P3 P 0.324 0.410 0.176
O1 O 0.032 0.300 0.793
O2 O 0.086 0.487 0.110
O3 O 0.147 0.095 0.024
O4 O 0.167 0.253 0.437
O5 O 0.214 0.153 0.738
O6 O 0.238 0.446 0.195
O7 O 0.286 0.037 0.537
O8 O 0.310 0.356 0.987
O9 O 0.362 0.243 0.285
O10 O 0.373 0.403 0.706
O11 O 0.441 0.047 0.609
O12 O 0.482 0.243 0.977
```

Summary:
The calculation puts the calculated volume at 13.53 Å³ per atom. The electronic total energy comes out at -574.4 eV per cell. For the energy of formation, the calculation gives -3.34 eV/atom. The offset from the most stable computed form is 0.0 kJ/mol of atoms.

***

Entry from the Materials Project: a relaxed Na2ThP2O8 crystal (GGA-PBE).

CIF file:
```
data_Na2ThP2O8
_space_group_name_H-M_alt 'C 1 2/c 1'
_space_group_IT_number 15
_cell_length_a 7.121
_cell_length_b 21.936
_cell_length_c 9.268
_cell_angle_alpha 90.00
_cell_angle_beta 111.18
_cell_angle_gamma 90.00
loop_
_space_group_symop_operation_xyz
'x,y,z'
'-x,-y,-z'
'-x,y,-z+1/2'
'x,-y,z+1/2'
'x+1/2,y+1/2,z'
'-x+1/2,-y+1/2,-z'
'-x+1/2,y+1/2,-z+1/2'
'x+1/2,-y+1/2,z+1/2'
loop_
_atom_site_label
_atom_site_type_symbol
_atom_site_fract_x
_atom_site_fract_y
_atom_site_fract_z
Na1 Na 0.102 0.190 0.455
Na2 Na 0.125 0.437 0.493
Th1 Th 0.000 0.072 0.750
Th2 Th 0.000 0.296 0.750
P1 P 0.182 0.311 0.148
P2 P 0.184 0.066 0.120
O1 O 0.019 0.311 0.494
O2 O 0.036 0.082 0.486
O3 O 0.137 0.196 0.910
O4 O 0.196 0.012 0.228
O5 O 0.197 0.253 0.250
O6 O 0.209 0.370 0.244
O7 O 0.209 0.450 0.995
O8 O 0.221 0.378 0.777
```

Summary:
The calculation puts the calculated volume at 12.98 Å³ per atom. The electronic total energy comes out at -762.2 eV per cell. For the energy of formation, the calculation gives -3.10 eV/atom.

***

Entry from the Materials Project: a relaxed NaTh2P3O12 crystal (GGA-PBE).

CIF file:
```
data_NaTh2P3O12
_space_group_name_H-M_alt 'C 1 2/c 1'
_space_group_IT_number 15
_cell_length_a 17.612
_cell_length_b 6.861
_cell_length_c 8.235
_cell_angle_alpha 90.00
_cell_angle_beta 101.09
_cell_angle_gamma 90.00
loop_
_space_group_symop_operation_xyz
'x,y,z'
'-x,-y,-z'
'-x,y,-z+1/2'
'x,-y,z+1/2'
'x+1/2,y+1/2,z'
'-x+1/2,-y+1/2,-z'
'-x+1/2,y+1/2,-z+1/2'
'x+1/2,-y+1/2,z+1/2'
loop_
_atom_site_label
_atom_site_type_symbol
_atom_site_fract_x
_atom_site_fract_y
_atom_site_fract_z
Na1 Na 0.000 0.103 0.250
Th1 Th 0.153 0.405 0.036
P1 P 0.000 0.401 0.750
P2 P 0.190 0.090 0.687
O1 O 0.025 0.277 0.908
O2 O 0.072 0.464 0.248
O3 O 0.138 0.092 0.159
O4 O 0.154 0.259 0.577
O5 O 0.203 0.149 0.876
O6 O 0.225 0.450 0.331
```

Summary:
........
Exercise.
Now print all of the data further up without additions.
Response.
Entry from the Materials Project: a relaxed Na3TeP2O14 crystal (GGA-PBE).

CIF file:
```
data_Na3TeP2O14
_space_group_name_H-M_alt 'P 63 2 2'
_space_group_IT_number 182
_space_group_name_Hall 'P 6c 2c'
_cell_length_a 8.1664
_cell_length_b 8.1664
_cell_length_c 10.8590
_cell_angle_alpha 90.00
_cell_angle_beta 90.00
_cell_angle_gamma 120.00
loop_
_atom_site_label
_atom_site_type_symbol
_atom_site_fract_x
_atom_site_fract_y
_atom_site_fract_z
Na1 Na 0.0514 0.5257 0.2500
Te1 Te 0.0000 0.0000 0.2500
P1 P 0.3333 0.6667 0.5209
O1 O 0.0182 0.2223 0.1691
O2 O 0.1476 0.5048 0.5785
O3 O 0.3333 0.6667 0.1186
```

Summary:
The calculation puts the calculated volume at 15.68 Å³ per atom. The electronic total energy comes out at -212.2 eV per cell. For the energy of formation, the calculation gives -1.43 eV/atom.

***

Entry from the Materials Project: a relaxed NaTh2P3O12 crystal (GGA-PBE).

CIF file:
```
data_NaTh2P3O12
_space_group_name_H-M_alt 'C 1 c 1'
_space_group_IT_number 9
_cell_length_a 17.577
_cell_length_b 6.852
_cell_length_c 8.254
_cell_angle_alpha 90.00
_cell_angle_beta 101.48
_cell_angle_gamma 90.00
loop_
_space_group_symop_operation_xyz
'x,y,z'
'x,-y,z+1/2'
'x+1/2,y+1/2,z'
'x+1/2,-y+1/2,z+1/2'
loop_
_atom_site_label
_atom_site_type_symbol
_atom_site_fract_x
_atom_site_fract_y
_atom_site_fract_z
Na1 Na 0.000 0.099 0.000
Th1 Th 0.166 0.412 0.900
Th2 Th 0.359 0.097 0.828
P1 P 0.010 0.400 0.622
P2 P 0.200 0.085 0.552
P3 P 0.324 0.410 0.176
O1 O 0.032 0.300 0.793
O2 O 0.086 0.487 0.110
O3 O 0.147 0.095 0.024
O4 O 0.167 0.253 0.437
O5 O 0.214 0.153 0.738
O6 O 0.238 0.446 0.195
O7 O 0.286 0.037 0.537
O8 O 0.310 0.356 0.987
O9 O 0.362 0.243 0.285
O10 O 0.373 0.403 0.706
O11 O 0.441 0.047 0.609
O12 O 0.482 0.243 0.977
```

Summary:
The calculation puts the calculated volume at 13.53 Å³ per atom. The electronic total energy comes out at -574.4 eV per cell. For the energy of formation, the calculation gives -3.34 eV/atom. The offset from the most stable computed form is 0.0 kJ/mol of atoms.

***

Entry from the Materials Project: a relaxed Na2ThP2O8 crystal (GGA-PBE).

CIF file:
```
data_Na2ThP2O8
_space_group_name_H-M_alt 'C 1 2/c 1'
_space_group_IT_number 15
_cell_length_a 7.121
_cell_length_b 21.936
_cell_length_c 9.268
_cell_angle_alpha 90.00
_cell_angle_beta 111.18
_cell_angle_gamma 90.00
loop_
_space_group_symop_operation_xyz
'x,y,z'
'-x,-y,-z'
'-x,y,-z+1/2'
'x,-y,z+1/2'
'x+1/2,y+1/2,z'
'-x+1/2,-y+1/2,-z'
'-x+1/2,y+1/2,-z+1/2'
'x+1/2,-y+1/2,z+1/2'
loop_
_atom_site_label
_atom_site_type_symbol
_atom_site_fract_x
_atom_site_fract_y
_atom_site_fract_z
Na1 Na 0.102 0.190 0.455
Na2 Na 0.125 0.437 0.493
Th1 Th 0.000 0.072 0.750
Th2 Th 0.000 0.296 0.750
P1 P 0.182 0.311 0.148
P2 P 0.184 0.066 0.120
O1 O 0.019 0.311 0.494
O2 O 0.036 0.082 0.486
O3 O 0.137 0.196 0.910
O4 O 0.196 0.012 0.228
O5 O 0.197 0.253 0.250
O6 O 0.209 0.370 0.244
O7 O 0.209 0.450 0.995
O8 O 0.221 0.378 0.777
```

Summary:
The calculation puts the calculated volume at 12.98 Å³ per atom. The electronic total energy comes out at -762.2 eV per cell. For the energy of formation, the calculation gives -3.10 eV/atom.

***

Entry from the Materials Project: a relaxed NaTh2P3O12 crystal (GGA-PBE).

CIF file:
```
data_NaTh2P3O12
_space_group_name_H-M_alt 'C 1 2/c 1'
_space_group_IT_number 15
_cell_length_a 17.612
_cell_length_b 6.861
_cell_length_c 8.235
_cell_angle_alpha 90.00
_cell_angle_beta 101.09
_cell_angle_gamma 90.00
loop_
_space_group_symop_operation_xyz
'x,y,z'
'-x,-y,-z'
'-x,y,-z+1/2'
'x,-y,z+1/2'
'x+1/2,y+1/2,z'
'-x+1/2,-y+1/2,-z'
'-x+1/2,y+1/2,-z+1/2'
'x+1/2,-y+1/2,z+1/2'
loop_
_atom_site_label
_atom_site_type_symbol
_atom_site_fract_x
_atom_site_fract_y
_atom_site_fract_z
Na1 Na 0.000 0.103 0.250
Th1 Th 0.153 0.405 0.036
P1 P 0.000 0.401 0.750
P2 P 0.190 0.090 0.687
O1 O 0.025 0.277 0.908
O2 O 0.072 0.464 0.248
O3 O 0.138 0.092 0.159
O4 O 0.154 0.259 0.577
O5 O 0.203 0.149 0.876
O6 O 0.225 0.450 0.331
```

Summary: